Researchers at the Francis Crick Institute have identified three 4,000-year-old British cases of Yersinia pestis, the bacteria that causes plague. Photo: Tony Audsley
Researchers at the Francis Crick Institute have identified three 4,000-year-old British cases of Yersinia pestis, the bacteria that causes plague. Photo: Tony Audsley

Plague found in 4,000-year-old human remains in Britain

Researchers have uncovered the oldest known instances of plague in Britain, dating back 4,000 years, according to a report published in Nature Communications.

Scientists detected the presence of Yersinia pestis, the bacteria that causes plague, in three separate cases in human remains found in a mass grave in Charterhouse Warren, Somerset, and at a ring cairn monument in Levens, Cumbria.

Inserted here: crystal structures.
<<<
Entry 1:
The following is a GGA-PBE calculation of a relaxed CrCdRe2 crystal, from the Alexandria database.

Properties
The formation energy is 0.3638 eV/atom.

a b c (Å): 3.0215 4.4659 9.1779
angles (deg): 90.00 90.00 90.00
Space group Cmmm (No. 65)
Asymmetric unit:
Cr: 0.0000 0.0000 0.0000 [2 per cell]
Cd: 0.0000 0.0000 0.5000 [2 per cell]
Re: 0.0000 0.5000 0.2201 [4 per cell]


Entry 2:
The following is a GGA-PBE calculation of a relaxed AcSm3DyY crystal, from the Alexandria database.

Properties
The formation energy is 0.2163 eV/atom.

a b c (Å): 23.0615 5.4818 7.1235
angles (deg): 90.00 98.42 90.00
Space group C2/m (No. 12)
Asymmetric unit:
Ac: 0.1265 0.0000 0.4798 [4 per cell]
Sm: 0.0218 0.0000 0.7841 [4 per cell]
Sm: 0.1771 0.5000 0.7816 [4 per cell]
Sm: 0.2253 0.5000 0.3109 [4 per cell]
Dy: 0.0749 0.5000 0.1201 [4 per cell]
Y: 0.1671 0.0000 0.0255 [4 per cell]


Entry 3:
The following is a GGA-PBE calculation of a relaxed Ag3AuBr crystal, from the Alexandria database.

Properties
The uncorrected formation energy is 0.458 eV per atom.

a b c (Å): 5.2310 5.2310 5.2310
angles (deg): 90.00 90.00 90.00
Space group Pm-3m (No. 221)
Asymmetric unit:
Ag: 0.0000 0.0000 0.5000 [3 per cell]
Au: 0.0000 0.0000 0.0000 [1 per cell]
Br: 0.5000 0.5000 0.5000 [1 per cell]


Entry 4:
The following is a GGA-PBE calculation of a relaxed Y3Si3Pd crystal, from the Alexandria database.

Properties
The uncorrected formation energy is -0.924 eV per atom.

a b c (Å): 10.5508 4.2599 13.6671
angles (deg): 90.00 110.30 90.00
Space group C2/m (No. 12)
Asymmetric unit:
Y: 0.0263 0.0000 0.3764 [4 per cell]
Y: 0.1040 0.0000 0.9230 [4 per cell]
Y: 0.2426 0.0000 0.2257 [4 per cell]
Si: 0.0378 0.5000 0.2301 [4 per cell]
Si: 0.1117 0.5000 0.0752 [4 per cell]
Si: 0.1230 0.5000 0.5450 [4 per cell]
Pd: 0.2448 0.5000 0.4037 [4 per cell]

* * * * *

{"formula": "Mn2Tl2IrO6", "functional": "PBE+U", "state": "relaxed", "cell": [[5.480, -0.080, 0.076], [-2.778, 4.724, 0.076], [-0.924, -1.588, 6.385]], "species": ["Ir", "O", "O", "Tl", "Mn", "O", "Mn", "Tl", "O", "O", "O"], "fractional_positions": [[0.000, 0.000, 0.500], [0.376, 0.054, 0.653], [0.946, 0.624, 0.347], [0.836, 0.164, 0.000], [0.663, 0.337, 0.500], [0.731, 0.731, 0.668], [0.337, 0.663, 0.500], [0.164, 0.836, 0.000], [0.054, 0.376, 0.653], [0.269, 0.269, 0.332], [0.624, 0.946, 0.347]], "spacegroup": "C2/m", "dos_ef_per_ev_cell": 3.1, "final_energy_ev_per_cell": -69.620}

* * * * *

Here is Np3Ni2P4 after structural relaxation from the Alexandria database. Energies are from PBE.

Lattice parameters (Å, degrees): 5.529 5.529 7.733 111.86 111.86 41.96
Element x y z (fractional)
Np 0.000 0.000 0.000
Np 0.405 0.405 0.347
Np 0.595 0.595 0.653
Ni 0.310 0.310 0.677
Ni 0.690 0.690 0.323
P 0.112 0.112 0.394
P 0.277 0.277 0.941
P 0.723 0.723 0.059
P 0.888 0.888 0.606

Calculated formation energy: -709.1 meV per atom
VASP energy: -78.4 eV per formula unit
SG: C2/m, No. 12
Total moment: 7.402 μB/f.u.
>>>

The researchers at the Francis Crick Institute – in collaboration with the University of Oxford, the Levens Local History Group and the Wells and Mendip Museum – used small skeletal samples from a total of 34 people found at the two sites.

Screening for Yersinia pestis in teeth, a procedure performed in a specialist clean room facility, involved drilling to extract dental pulp capable of trapping DNA remnants of infectious diseases.

Following the analysis of the extracted DNA, three instances of Yersinia pestis were confirmed in two children aged between 10 and 12, and a woman aged between 35 and 45.

Radiocarbon dating showed that these people probably lived at about the same time.

Map showing the distribution of LNBA Yersinia pestis strains. Photo: Pooja Swali et al Nature Communications

Between two parts of the entry: data records:
=====
Density functional theory data (PBE-GGA) for an optimized crystal structure of Hf3ZrAu.

Unit cell a=5.0576 b=5.0576 c=5.0576 alpha=90.00 beta=90.00 gamma=90.00
Fractional positions:
Au  0.5000  0.5000  0.5000
Hf  0.0000  0.0000  0.5000
Hf  0.0000  0.5000  0.0000
Zr  0.0000  0.0000  0.0000
Hf  0.5000  0.0000  0.0000

The value obtained for the total DFT energy (no corrections) is -7.102 eV per atom. The distance to the lowest polymorph of the same formula comes out at 0.510 eV/atom. The space group is No. 221. Its total magnetization is 0.00 μB per formula unit. Its formation enthalpy at 0 K is 1.2356 eV/atom. As for the crystal system: cubic.

----------

No. 1
## MgNiOs2 (GGA-PBEsol)

Data for an optimized crystal structure of MgNiOs2.

```
MgNiOs2
1.0
2.7059 0.0000 0.0000
1.3529 2.3434 0.0000
1.3529 0.7811 8.6465
Mg Ni Os
1 1 2
Cartesian
2.7059 1.5622 4.3233
0.0000 0.0000 0.0000
1.3529 0.7811 2.0118
4.0588 2.3434 6.6348
```

Computed properties:
Crystal system ... trigonal
SG ... R-3m
Calculated volume ... 55 Å³/cell
E ... -31.126 eV/f.u.
Formation enthalpy at 0 K ... 295 meV per atom
Total magnetic moment ... 0.00 μB/f.u.

=====

No. 2
## MgNiOs (GGA-PBEsol)

Data for an optimized crystal structure of MgNiOs.

```
MgNiOs
1.0
-2.9982 -2.5109 -1.2897
0.6498 -4.0625 -0.1756
-1.8815 -2.5035 2.6739
Os Mg Ni
1 1 1
Cartesian
-1.0575 -2.2692 0.3021
0.0000 0.0000 0.0000
-2.1149 -4.5385 0.6043
```

Computed properties:
Crystal system ... cubic
SG ... F-43m
Calculated volume ... 49 Å³/cell
E ... -17.258 eV/f.u.
Formation enthalpy at 0 K ... 944 meV per atom
Total magnetic moment ... 2.18 μB/f.u.

=====

No. 3
## MgNi6Os (GGA-PBEsol)

Data for an optimized crystal structure of MgNi6Os.

```
MgNi6Os
1.0
-3.0728 3.8137 -3.7700
2.3312 -4.6919 -3.2789
-8.4511 -5.2801 1.5470
Mg Ni Os
4 24 4
Cartesian
0.9705 -2.5502 -3.4025
-6.7125 -4.4012 -2.3636
-1.7121 1.6720 -3.6463
-2.4803 -1.7570 -3.1383
-0.9697 -2.3880 -5.0604
-4.2256 -2.6400 0.7735
-5.1404 -5.0377 -4.3058
-7.2642 -6.3207 -3.9082
-3.0572 -3.7361 -4.6871
-1.1661 -3.9542 -3.0028
-2.6767 -3.2856 -1.0711
0.0000 0.0000 0.0000
-0.5921 -1.9410 -1.4723
-4.7600 -4.5872 -0.6898
-8.6006 -4.2173 -4.0296
-1.9286 0.1624 -1.5937
-8.2231 -3.7702 -0.4415
-0.3708 -0.4391 -3.5244
-5.2812 -6.5252 -2.2496
-4.5964 -3.0791 -2.7510
-4.0523 -1.1206 -1.1961
-6.1355 -2.4221 -0.8148
-8.0266 -2.2041 -2.4991
-6.5160 -2.8726 -4.4308
-4.4327 -1.5711 -4.8121
-3.9115 0.3669 -3.2523
-6.8867 -5.8737 -0.3201
-2.3061 -0.2846 -5.1818
-2.0659 -1.2907 0.3782
-3.2874 -5.1394 -2.6320
-6.3852 -3.9893 1.1688
-5.9053 -1.0189 -2.8699
```

Computed properties:
Crystal system ... orthorhombic
SG ... Cmmm
Calculated volume ... 363 Å³/cell
E ... -50.816 eV/f.u.
Formation enthalpy at 0 K ... 8 meV per atom
Total magnetic moment ... 0.04 μB/f.u.

=====

No. 4
## RbMgNiOs2 (GGA-PBEsol)

Data for an optimized crystal structure of RbMgNiOs2.

```
RbMgNiOs2
1.0
-0.1164 -3.7082 -2.5576
1.2326 -2.4871 3.5498
-5.0686 -0.7111 1.2617
Rb Mg Os Ni
1 1 2 1
Cartesian
=====
The entry goes on:

The Late Neolithic and Bronze Age lineage of plague has previously been identified in remains found in Eurasia from between 2,500 to 5,000 years ago.

### Data records from another source follow
<<<
1.
First-principles (GGA-PBE) data for crystalline CaNdSm2Se4 at its relaxed geometry, as listed in the Alexandria database.

Computed properties:
Spin magnetization (μB/f.u.): 0.00
Energy (eV per atom): -5.6284

The structure in CIF format:
```
data_CaNdSm2Se4
_chemical_formula_sum 'Ca1 Nd1 Sm2 Se4'
_space_group_name_H-M_alt 'P 1 2/m 1'
_space_group_IT_number 10
_space_group_name_Hall '-P 2y'
_cell_length_a 7.263
_cell_length_b 4.168
_cell_length_c 7.284
_cell_angle_alpha 90.00
_cell_angle_beta 109.08
_cell_angle_gamma 90.00
loop_
_atom_site_label
_atom_site_fract_x
_atom_site_fract_y
_atom_site_fract_z
_atom_site_occupancy
Ca1 0.000 0.000 0.000 1
Nd1 0.000 0.500 0.500 1
Sm1 0.500 0.000 0.500 1
Sm2 0.500 0.500 0.000 1
Se1 0.249 0.500 0.246 1
Se2 0.251 0.000 0.755 1
```

2.
First-principles (GGA-PBE) data for crystalline Ca2NdSnSe4 at its relaxed geometry, as listed in the Alexandria database.

Computed properties:
Spin magnetization (μB/f.u.): 0.00
Energy (eV per atom): -4.8557

The structure in CIF format:
```
data_Ca2NdSnSe4
_chemical_formula_sum 'Ca2 Nd1 Sn1 Se4'
_space_group_name_H-M_alt 'P 1 2/m 1'
_space_group_IT_number 10
_space_group_name_Hall '-P 2y'
_cell_length_a 7.349
_cell_length_b 4.217
_cell_length_c 7.401
_cell_angle_alpha 90.00
_cell_angle_beta 109.28
_cell_angle_gamma 90.00
loop_
_atom_site_label
_atom_site_fract_x
_atom_site_fract_y
_atom_site_fract_z
_atom_site_occupancy
Ca1 0.000 0.000 0.000 1
Ca2 0.000 0.500 0.500 1
Nd1 0.500 0.000 0.500 1
Sn1 0.500 0.500 0.000 1
Se1 0.245 0.000 0.746 1
Se2 0.245 0.500 0.248 1
```

3.
First-principles (GGA-PBE) data for crystalline Sr2CaNdSe4 at its relaxed geometry, as listed in the Alexandria database.

Computed properties:
Spin magnetization (μB/f.u.): 0.00
Energy (eV per atom): -4.9808

The structure in CIF format:
```
data_Sr2CaNdSe4
_chemical_formula_sum 'Sr2 Ca1 Nd1 Se4'
_space_group_name_H-M_alt 'P 1 2/m 1'
_space_group_IT_number 10
_space_group_name_Hall '-P 2y'
_cell_length_a 7.489
_cell_length_b 4.311
_cell_length_c 7.525
_cell_angle_alpha 90.00
_cell_angle_beta 109.32
_cell_angle_gamma 90.00
loop_
_atom_site_label
_atom_site_fract_x
_atom_site_fract_y
_atom_site_fract_z
_atom_site_occupancy
Sr1 0.000 0.000 0.000 1
Sr2 0.500 0.500 0.000 1
Ca1 0.000 0.500 0.500 1
Nd1 0.500 0.000 0.500 1
Se1 0.245 0.000 0.737 1
Se2 0.253 0.500 0.261 1
```

4.
First-principles (GGA-PBE) data for crystalline CaTb4NdSe8 at its relaxed geometry, as listed in the Alexandria database.

Computed properties:
Spin magnetization (μB/f.u.): 0.00
Energy (eV per atom): -5.5985

The structure in CIF format:
```
data_CaTb4NdSe8
_chemical_formula_sum 'Ca3 Tb12 Nd3 Se24'
_space_group_name_H-M_alt 'R 3 m'
_space_group_IT_number 160
_space_group_name_Hall 'R 3 -2"'
_cell_length_a 8.5029
_cell_length_b 8.5029
_cell_length_c 21.0217
_cell_angle_alpha 90.00
_cell_angle_beta 90.00
_cell_angle_gamma 120.00
loop_
_atom_site_label
_atom_site_fract_x
_atom_site_fract_y
_atom_site_fract_z
_atom_site_occupancy
>>>
### End of the data records

However, it had not been observed in remains found in Britain from that time, and the strain's broad geographic range suggests easy transmission.

Genome sequencing carried out by the researchers indicated that the lineage was introduced to Central and Western Europe about 4,800 years ago, possibly by humans migrating into Eurasia. The research now proposes that it also extended to Britain.

The remains tested did not possess the yapC and ymt genes found in later strains of the plague, the latter of which is crucial for plague transmission via fleas.

It is believed that this strain was not transmitted through flea bites, unlike later strains such as the Black Death.

Charterhouse Warren, taken in 1972. Photo: Tony Audsley

The discovery may also be the tip of the iceberg, as pathogenic DNA tends to degrade rapidly in samples that might be incomplete or eroded, making it plausible that other people found at these burial sites could have been infected with the same strain of plague.

The Charterhouse Warren site stands out, as it does not match other burial sites of the time period due to the apparent traumatic deaths of the people buried there.

Researchers speculate that these people might have been infected with the plague at the time of their demise, even though a plague outbreak does not appear to have caused the mass burial.

Pooja Swali, the first author of the paper and a doctoral student at the Crick, expressed her awe at the capacity to detect ancient pathogens in degraded samples thousands of years old, describing it as “incredible”.

Ms Swali emphasised the vital role these genomes play in shedding light on the spread and evolutionary changes of pathogens in the past.

Pontus Skoglund, group leader of the Ancient Genomics Laboratory at the Crick, highlighted the new research as an essential part of understanding the ancient genomic record of pathogens and humans, and how they have co-evolved.

Dr Skoglund emphasised the value of ancient DNA in documenting infectious disease much further into the past, while suggesting that future research could help us understand how our genomes responded to such diseases in the past and continue to do so.

Updated: May 30, 2023, 5:44 PM